____________
Below is a cluster of 2 separate species, C5H11N in total at a distorted geometry, with properties calculated with ωB97M-V/def2-TZVPD.

Properties
frontier orbital gap = 9.7082 eV
spin multiplicity = 1
charge = 0
energy relative to the best compared isomer or geometry (same formula, charge and spin) = 4.992 eV
HOMO = -8.973 eV

Bonds (Å) are listed after each position.
Element x y z (Å)
1 C -1.287 -0.491 0.365  C2 1.500, H8 1.203, H9 1.256, N17 1.505
2 C -0.092 -0.179 -0.486  C1 1.500, C3 1.504, C5 1.559, H10 1.149
3 C 1.151 -1.002 -0.283  C2 1.504, C4 1.515, H11 1.084, H12 1.123
4 C 1.887 0.165 0.342  C3 1.515, C5 1.559, H13 1.100, H14 1.155
5 C 0.721 1.097 -0.106  C2 1.559, C4 1.559, H15 1.176, H16 1.132
6 H -2.292 1.203 -1.080  no bonds
7 H -3.082 0.342 0.894  N17 1.228
8 H -1.550 -1.620 0.685  C1 1.203
9 H -1.030 0.081 1.453  C1 1.256
10 H -0.332 -0.476 -1.569  C2 1.149
11 H 1.059 -1.951 0.234  C3 1.084
12 H 1.527 -1.257 -1.310  C3 1.123
13 H 2.888 0.521 0.061  C4 1.100
14 H 1.877 0.059 1.493  C4 1.155
15 H 0.097 1.825 0.575  C5 1.176
16 H 1.017 1.590 -1.082  C5 1.132
17 N -2.559 0.093 -0.188  C1 1.505, H7 1.228
____________

What is needed: duplicate the whole of the contents earlier on character by character.

Below is a cluster of 2 separate species, C5H11N in total at a distorted geometry, with properties calculated with ωB97M-V/def2-TZVPD.

Properties
frontier orbital gap = 9.7082 eV
spin multiplicity = 1
charge = 0
energy relative to the best compared isomer or geometry (same formula, charge and spin) = 4.992 eV
HOMO = -8.973 eV

Bonds (Å) are listed after each position.
Element x y z (Å)
1 C -1.287 -0.491 0.365  C2 1.500, H8 1.203, H9 1.256, N17 1.505
2 C -0.092 -0.179 -0.486  C1 1.500, C3 1.504, C5 1.559, H10 1.149
3 C 1.151 -1.002 -0.283  C2 1.504, C4 1.515, H11 1.084, H12 1.123
4 C 1.887 0.165 0.342  C3 1.515, C5 1.559, H13 1.100, H14 1.155
5 C 0.721 1.097 -0.106  C2 1.559, C4 1.559, H15 1.176, H16 1.132
6 H -2.292 1.203 -1.080  no bonds
7 H -3.082 0.342 0.894  N17 1.228
8 H -1.550 -1.620 0.685  C1 1.203
9 H -1.030 0.081 1.453  C1 1.256
10 H -0.332 -0.476 -1.569  C2 1.149
11 H 1.059 -1.951 0.234  C3 1.084
12 H 1.527 -1.257 -1.310  C3 1.123
13 H 2.888 0.521 0.061  C4 1.100
14 H 1.877 0.059 1.493  C4 1.155
15 H 0.097 1.825 0.575  C5 1.176
16 H 1.017 1.590 -1.082  C5 1.132
17 N -2.559 0.093 -0.188  C1 1.505, H7 1.228